-- begin --
DFT (ωB97M-V/def2-TZVPD) results for an isolated molecule of C6H15N2 in a non-equilibrium geometry.

## Properties
<S²>   0.753
Molecular weight   115.200 g/mol
Multiplicity   2
Charge   0
Energy above the lowest of the compared OMol25 structures with the same formula, charge and spin   71.0 kcal/mol
Total energy   -346.9412 Ha

Atoms and positions in Å:
1 C 1.39 -1.42 -0.49
2 C 1.01 -0.50 -1.62
3 C -0.46 -0.16 -1.57
4 N -0.53 1.70 1.81
5 C -0.35 1.36 0.43
6 C -0.87 0.21 -0.15
7 C -2.09 -0.50 0.38
8 N 1.70 -0.63 0.74
9 H 0.56 -2.07 -0.19
10 H 2.18 -2.15 -0.70
11 H 1.57 0.45 -1.64
12 H 1.47 -0.90 -2.53
13 H -0.74 0.70 -2.19
14 H -1.14 -0.97 -1.87
15 H -0.48 2.70 1.94
16 H -1.37 1.39 2.24
17 H 0.23 2.10 -0.12
18 H -2.84 -0.82 -0.35
19 H -2.65 0.15 1.08
20 H -1.89 -1.31 1.05
21 H 2.67 -0.68 1.04
22 H 1.14 -0.91 1.54
23 H 1.51 0.41 0.58

---

DFT (ωB97M-V/def2-TZVPD) results for an isolated molecule of C4H6N2S.

## Properties
Molecular weight   114.173 g/mol
Multiplicity   1
Charge   0
Energy above the lowest of the compared OMol25 structures with the same formula, charge and spin   45.3 kcal/mol
Structure (SMILES)   SCC1C=NN=C1
Total energy   -663.6563 Ha

Atoms and positions in Å:
1 S 0.83 -0.37 2.40
2 C -0.06 -0.85 0.91
3 C -0.25 0.30 -0.10
4 C -0.93 -0.11 -1.37
5 N -0.23 0.13 -2.42
6 N 1.02 0.72 -2.01
7 C 1.02 0.81 -0.72
8 H -0.13 0.46 2.94
9 H -1.01 -1.28 1.16
10 H 0.57 -1.64 0.46
11 H -0.77 1.17 0.36
12 H -1.93 -0.55 -1.43
13 H 1.86 1.20 -0.17

---

DFT (ωB97M-V/def2-TZVPD) results for a structure of composition C4H3CoO in a non-equilibrium geometry.

## Properties
<S²>   3.819
Molecular weight   126.000 g/mol
Multiplicity   4
Charge   +1
Energy above the lowest of the compared OMol25 structures with the same formula, charge and spin   40.6 kcal/mol
Total energy   -1611.7102 Ha

Atoms and positions in Å:
1 C -2.18 0.20 -0.03
2 C -0.91 -0.17 -0.02
3 C 0.27 -0.71 0.00
4 C 1.53 -1.13 0.06
5 H -2.96 -0.57 -0.02
6 H -2.48 1.24 0.01
7 H 3.31 -0.26 -0.12
8 O 2.40 0.00 0.06
9 Co 1.02 1.39 0.05

---

DFT (ωB97M-V/def2-TZVPD) results for a structure of composition C21H25IrN6O4S in a non-equilibrium geometry.

## Properties
<S²>   8.804
Molecular weight   649.753 g/mol
Multiplicity   6
Charge   -1
Energy above the lowest of the compared OMol25 structures with the same formula, charge and spin   0.0 kcal/mol
Total energy   -1947.1475 Ha

Atoms and positions in Å:
1 Ir -0.85 0.47 1.13
2 N 1.71 0.64 1.47
3 C 1.94 0.29 2.88
4 C 0.77 0.76 3.73
5 O 0.93 1.20 4.88
6 N -0.49 0.65 3.07
7 C -1.66 1.10 3.92
8 C -2.45 2.09 3.13
9 O -3.02 3.02 3.68
10 O -2.43 1.80 1.72
11 H 2.32 0.15 0.82
12 H 1.75 1.64 1.32
13 H 2.83 0.76 3.31
14 H 2.04 -0.82 2.96
15 H -1.16 1.47 4.81
16 H -2.27 0.21 4.24
17 N -4.07 -1.49 -1.53
18 C -3.19 -0.82 -0.74
19 S -3.21 -1.00 0.95
20 N -2.36 -0.01 -1.45
21 N -1.37 0.74 -0.77
22 C -0.75 1.49 -1.70
23 C 0.20 2.51 -1.48
24 C 0.89 3.04 -2.61
25 C 1.86 3.99 -2.44
26 C 2.17 4.49 -1.15
27 C 1.49 4.02 -0.04
28 C 0.47 3.02 -0.15
29 O -0.16 2.56 0.91
30 H -4.57 -2.28 -1.13
31 H -3.92 -1.44 -2.53
32 H -1.11 1.28 -2.72
33 H 0.60 2.68 -3.60
34 H 2.40 4.37 -3.32
35 H 2.93 5.26 -1.05
36 H 1.74 4.39 0.96
37 C 1.67 -1.31 -3.56
38 N 0.96 -2.02 -2.48
39 C -0.44 -2.27 -2.86
40 C 1.15 -1.35 -1.20
41 C 0.52 -2.10 -0.06
42 C 0.77 -3.49 -0.08
43 C 0.34 -4.33 0.93
44 C -0.36 -3.76 1.99
45 C -0.62 -2.39 2.02
46 C -0.24 -1.49 0.98
47 H 1.64 -1.91 -4.48
48 H 2.73 -1.18 -3.29
49 H 1.24 -0.31 -3.79
50 H -0.43 -2.81 -3.82
51 H -1.01 -1.34 -3.01
52 H -0.97 -2.88 -2.10
53 H 0.79 -0.31 -1.26
54 H 2.26 -1.29 -1.05
55 H 1.31 -3.90 -0.95
56 H 0.56 -5.41 0.88
57 H -0.69 -4.37 2.84
58 H -1.18 -1.99 2.88

---

DFT (ωB97M-V/def2-TZVPD) results for a structure of composition CHBr4O2P in a non-equilibrium geometry.

## Properties
Molecular weight   395.607 g/mol
Multiplicity   1
Charge   0
Energy above the lowest of the compared OMol25 structures with the same formula, charge and spin   53.8 kcal/mol
Total energy   -10826.5771 Ha

Atoms and positions in Å:
-- stop --
Next, filter the block further above: keep the lines with the word "Total".
Total energy   -346.9412 Ha
Total energy   -663.6563 Ha
Total energy   -1611.7102 Ha
Total energy   -1947.1475 Ha
Total energy   -10826.5771 Ha